_Wanted_
Give back the data further below exactly.
_Excerpt_
~~~
Computed PXRD pattern
Compound: Li2MnO2F
Radiation: Cu Ka
Structure: a crystal structure in the Materials Project, relaxed with PBE+U
No peak broadening, texture or thermal motion is included.

Principal peaks in the range 10° ≤ 2θ ≤ 90°, in order of falling intensity:
hkl 0 1 1, 2θ = 21.90°, I = 100; hkl 0 2 0, 2θ = 20.35°, I = 77; hkl 2 3 0, 2θ = 44.54°, I = 70; hkl 0 0 2, 2θ = 39.30°, I = 54; hkl 2 3 2, 2θ = 60.88°, I = 47; hkl 2 1 0, 2θ = 33.11°, I = 34; hkl 2 2 1, 2θ = 42.76°, I = 20; hkl 0 2 2, 2θ = 44.65°, I = 18; hkl 2 1 2, 2θ = 52.30°, I = 17; hkl 2 4 1, 2θ = 56.84°, I = 16

Crystal structure
```
24
Lattice="5.6919 0.0000 0.0000 0.0000 8.7263 0.0000 0.0000 0.0000 4.5850" Properties=species:S:1:pos:R:3 pbc="T T T"
Li 0.7157 0.6369 1.0961
Li 0.7157 3.7262 1.0961
Li 2.1302 5.0000 3.3886
Li 2.1302 8.0894 3.3886
Li 3.5617 0.6369 1.1964
Li 3.5617 3.7262 1.1964
Li 4.9762 5.0000 3.4889
Li 4.9762 8.0894 3.4889
Mn 0.7010 6.5447 1.1498
Mn 2.1450 2.1816 3.4423
Mn 3.5469 6.5447 1.1427
Mn 4.9909 2.1816 3.4352
O 0.7219 0.8544 3.4561
O 0.7219 3.5088 3.4561
O 2.1241 5.2175 1.1636
O 2.1241 7.8719 1.1636
O 3.5678 0.8544 3.4214
O 3.5678 3.5088 3.4214
O 4.9700 5.2175 1.1289
O 4.9700 7.8719 1.1289
F 0.7021 6.5447 3.4392
F 2.1438 2.1816 1.1467
F 3.5480 6.5447 3.4383
F 4.9898 2.1816 1.1458
```
~~~
_Result_
Computed PXRD pattern
Compound: Li2MnO2F
Radiation: Cu Ka
Structure: a crystal structure in the Materials Project, relaxed with PBE+U
No peak broadening, texture or thermal motion is included.

Principal peaks in the range 10° ≤ 2θ ≤ 90°, in order of falling intensity:
hkl 0 1 1, 2θ = 21.90°, I = 100; hkl 0 2 0, 2θ = 20.35°, I = 77; hkl 2 3 0, 2θ = 44.54°, I = 70; hkl 0 0 2, 2θ = 39.30°, I = 54; hkl 2 3 2, 2θ = 60.88°, I = 47; hkl 2 1 0, 2θ = 33.11°, I = 34; hkl 2 2 1, 2θ = 42.76°, I = 20; hkl 0 2 2, 2θ = 44.65°, I = 18; hkl 2 1 2, 2θ = 52.30°, I = 17; hkl 2 4 1, 2θ = 56.84°, I = 16

Crystal structure
```
24
Lattice="5.6919 0.0000 0.0000 0.0000 8.7263 0.0000 0.0000 0.0000 4.5850" Properties=species:S:1:pos:R:3 pbc="T T T"
Li 0.7157 0.6369 1.0961
Li 0.7157 3.7262 1.0961
Li 2.1302 5.0000 3.3886
Li 2.1302 8.0894 3.3886
Li 3.5617 0.6369 1.1964
Li 3.5617 3.7262 1.1964
Li 4.9762 5.0000 3.4889
Li 4.9762 8.0894 3.4889
Mn 0.7010 6.5447 1.1498
Mn 2.1450 2.1816 3.4423
Mn 3.5469 6.5447 1.1427
Mn 4.9909 2.1816 3.4352
O 0.7219 0.8544 3.4561
O 0.7219 3.5088 3.4561
O 2.1241 5.2175 1.1636
O 2.1241 7.8719 1.1636
O 3.5678 0.8544 3.4214
O 3.5678 3.5088 3.4214
O 4.9700 5.2175 1.1289
O 4.9700 7.8719 1.1289
F 0.7021 6.5447 3.4392
F 2.1438 2.1816 1.1467
F 3.5480 6.5447 3.4383
F 4.9898 2.1816 1.1458
```